There is a long history of anti-malaria activities in Australia. Malaria was endemic in the northern, tropical areas and there were various outbreaks in Darwin and Far North Queensland in the early years of recording.
Malaria became of major concern during the years of the second World War, when large numbers of troops were circulating through the northern parts of Australia and other more malarious areas in PNG, the Pacific and South East Asia. The movement of defence personnel and the risks from them importing malaria, have remained and the military involvement in malaria control and research continues with the Australian Defence Force Malaria and Infectious Diseases Institute (previously the Australian Army Malaria Institute). There are also several high-level medical institutes with involvement in malaria research. The vivax malaria research team at the Walter and Eliza Hall Institute won the 2019 Eureka prize for infectious diseases research.
Australia’s profile in malaria control was raised when Melbourne hosted the 1st Malaria World Congress in 2018 and Australia is active in APLMA (Asia Pacific Leaders Malaria Alliance, an affiliation of Asian and Pacific heads of government formed to accelerate progress against malaria and to eliminate it in the region by 2030).
Malaria reporting in Australia comes under the National Notifiable Diseases Surveillance System. The surveillance system involves reporting of human illnesses by medical staff; sentinel chicken flocks; and vector and virus surveillance programs – activities such as surveillance for exotic mosquitos at ports of entry eg at international airports. In 2014-15, there were 36 separate detections of exotic mosquitoes, including one albopictus larva in water that was pooling inside a new tyre being imported from Japan (Knope 2019: 51).

For the latest reported year – 2014-2015 – there were 12,489 cases of mosquito borne diseases in Australia, mostly Barmah Forest and Ross River viruses. There were 259 cases of malaria, all acquired overseas. The report states that the last cases acquired on mainland Australia were during an outbreak in north Queensland in 2002; and that limited transmission occurs occasionally in the Torres Strait. (Knope 2019: 26) An example of this is described in a 2011 article from the Torres News Online, 8 Apr 2011.
Rogue mozzie spreads malaria
JUST one rogue mosquito could be responsible for the closure of the sea border between Papua New Guinea and Australia. Border restrictions between the two countries were put in place on Monday, March 28, following a malaria outbreak in the Torres Strait Islands. Queensland Health and the Torres Island Regional Council say they are taking the threat “very seriously” after four residents of the Outer Islands contracted the more-severe form of the disease last week.
A spokesperson from Queensland Health said “We could be talking about one rogue mosquito, that has bitten an infected person before transferring it to the others. The disease was acquired locally, possibly from someone travelling down from PNG. The disease is not usually present in Far North Queensland, and needs to be imported from malarial countries before local transmission can occur.”
On 28 March the Department of Foreign Affairs and Trade put a restriction on inward visits from PNG to Boigu, Dauan and Saibai. The restrictions, which expired on April 11, applied to the traditional movements of citizens of PNG who live in the adjacent coastal area of Papua New Guinea to the Torres Strait Protected Zone.
Far North Queensland is a malaria-receptive zone, which means the Anopheles mosquito can transfer the disease if the malaria parasite is present in the area. Queensland Health deployed mosquito control staff, public health nurses and public education staff to help reduce the risk of further cases, spraying homes with a residual insecticide, setting mosquito traps, and fogging at dusk to kill as many mosquitoes as possible. Wearing insect repellent, especially if outside during dusk or at night, when the malaria mosquito bites, mosquito bed nets, mosquito coils, and plug-in mosquito repellent devices are also recommended.
Unlike the dengue mosquito, which is a day-biter, the Anopheles malaria mosquito bites mainly in the evening and at night. While the dengue mosquito breeds in containers around the home, the malaria mozzie breeds in surface water such as swamps and lagoons. Records going back to 1997 indicate that there have been no known deaths from malaria in the Torres Strait
The Australian Defence Forces serving overseas continue to contract both falciparum and vivax malaria. For example, in the ten years 1998-2007, a total of 487 soldiers in Timor Leste, Bougainville, and the Solomon Islands were infected, with many of the cases (recurrent vivax) being discovered after return to Australia.
As with “elimination” everywhere, a constant vigilance of testing, reporting and treating is needed to prevent recurrence of malaria.
**Someone pasted calculated molecules at this point:**
1.
C38H57BrGeO4OsPS2 as an isolated structure at a distorted geometry. Source: the Open Molecules 2025 dataset; level of theory: ωB97M-V/def2-TZVPD.

Results
2S+1: 6
<S²>: 8.7865
Net charge: +2
Calculated total energy: -7661.95031 hartree
Energy relative to the best compared isomer or geometry (same formula, charge and spin): 19.2 kcal/mol
Kohn-Sham gap (spin up / spin down): 7.843 / 5.344 eV
HOMO (spin up / spin down): -13.449 / -13.923 eV
Largest force on an atom: 2.38 eV/A
LUMO energy (spin up / spin down): -5.61 / -8.58 eV

Atoms and positions in Å:
1 Os 0.00240 -0.38929 0.53011
2 C 3.50442 1.06123 -0.03701
3 C 2.45427 1.69857 -0.94997
4 C 2.95383 1.74228 -2.39843
5 C 2.13409 3.12012 -0.48478
6 O 1.27166 0.90187 -0.90150
7 Ge -0.25067 1.08861 -2.12494
8 O -1.21757 1.46322 -0.53513
9 C -2.54130 1.94806 -0.37648
10 C -3.54070 0.83722 -0.70783
11 C -2.69599 2.40222 1.07765
12 C -2.73019 3.12198 -1.34544
13 O -0.48001 -1.01703 -1.29814
14 C -0.31344 -2.19654 -2.05164
15 C 1.18268 -2.51850 -2.21370
16 C -0.92402 -1.95197 -3.43881
17 C -1.01461 -3.36054 -1.33922
18 H 4.40927 1.66251 -0.02675
19 H 3.75598 0.06149 -0.38609
20 H 3.11704 1.00060 0.98048
21 H 3.88587 2.29798 -2.46036
22 H 2.21286 2.24111 -3.02837
23 H 3.12189 0.73568 -2.77637
24 H 3.02529 3.73913 -0.53394
25 H 1.76493 3.11276 0.53833
26 H 1.36915 3.55467 -1.13089
27 H -3.33836 -0.03975 -0.08962
28 H -3.44307 0.55035 -1.75564
29 H -4.55809 1.17139 -0.51979
30 H -2.34618 1.60887 1.74169
31 H -3.73584 2.61560 1.30747
32 H -2.10244 3.29329 1.26118
33 H -2.61592 2.75965 -2.36988
34 H -1.97681 3.88600 -1.16159
35 H -3.71596 3.56322 -1.23040
36 H 1.73073 -1.61975 -2.50050
37 H 1.31291 -3.27343 -2.98573
38 H 1.59418 -2.90302 -1.28362
39 H -0.33905 -1.19546 -3.96441
40 H -1.95151 -1.60823 -3.33752
41 H -0.91060 -2.86675 -4.02276
42 H -0.59537 -3.49326 -0.34056
43 H -0.86130 -4.27326 -1.90654
44 H -2.08289 -3.17439 -1.24276
45 C 5.13659 -2.64651 5.83501
46 C 4.54416 -1.25653 6.06038
47 C 5.69460 -0.23153 6.00569
48 C 3.89612 -1.20764 7.45391
49 C 3.52664 -0.86964 5.02159
50 C 3.26421 -1.64917 3.88787
51 C 2.33938 -1.21303 2.97679
52 Br 2.02739 -2.24826 1.38858
53 C 1.58253 -0.00807 3.11056
54 O 0.68385 0.31550 2.24802
55 C 1.89888 0.81453 4.24695
56 C 2.83975 0.34339 5.13933
57 C 1.35445 2.22158 4.44551
58 C 2.53241 3.18831 4.21633
59 C 0.83154 2.39298 5.88389
60 C 0.22235 2.61731 3.50030
61 H 5.84766 -2.85342 6.62928
62 H 5.67058 -2.70241 4.88955
63 H 4.36935 -3.41694 5.86054
64 H 6.43424 -0.49924 6.75375
65 H 5.35034 0.77764 6.20809
66 H 6.16702 -0.24745 5.02682
67 H 4.63876 -1.47697 8.19844
68 H 3.07208 -1.91509 7.51335
69 H 3.51935 -0.21914 7.69887
70 H 3.77854 -2.58110 3.71264
71 H 3.08545 0.97126 5.97867
72 H 3.34477 2.99611 4.91220
73 H 2.19450 4.21140 4.36015
74 H 2.91943 3.09207 3.20310
75 H 1.62810 2.34578 6.62060
76 H 0.08792 1.63493 6.12384
77 H 0.36336 3.37033 5.97337
78 H 0.54028 2.61118 2.45904
79 H -0.09433 3.62983 3.74285
80 H -0.63613 1.95945 3.61280
Jen Parer
RC Holbrook
RAM supervisor D9790
Elmes, Nathan J. 2010 Malaria Notifications in the Australian Defence Force from 1998 to 2007. International Health vol. 2 [accessed 4/07/20]
Knope, K et al 2019 Arboviral diseases and malaria in Australia, 2014–15: Annual report of the National Arbovirus and Malaria Advisory Committee. Communicable Diseases Intelligence vol. 43$File/arboviral_diseases_and_malaria_in_Australia-_NTAC_2014%E2%80%9315_annual_report.pdf [accessed 2/07/2020]